The magazine 'The Lancet' estimates the number of deaths in Gaza by Israel: nearly 200,000 people
  • "It's hard, but it's necessary." This has been revealed by the science journal The Lancet, which has published a report on the deaths in the Gaza Strip. Given the number of deaths, diseases and other indirect factors, it is estimated that at least 186,000 people have died and that nearly 10 per cent of the population of Gaza is at risk of death.
Jon Hidalgo GereƱu 2024ko uztailaren 09a

The Lancet magazine has investigated the consequences of the genocide in Gaza and made an estimate of the number of deaths in the strip. The magazine concludes that "with a prudent forecast" more than 186,000 Palestinians could be killed in eastern Gaza. According to 2022 data from the population of Gaza, about 2,375,000 people, 8 per cent of the population may die from genocide.

**Here the page breaks off for molecular data**
Computed, not measured: a 13-piece molecular cluster, C3H32N2O13 overall at a distorted geometry, with the ωB97M-V functional and the def2-TZVPD basis.

Structure (XYZ):
```
50
C3H32N2O13 (the ωB97M-V functional and the def2-TZVPD basis)
N 3.25162 2.55133 0.81834
C 2.09333 1.81717 0.44707
C 2.51097 0.92761 -0.70614
C 0.84195 2.51565 0.10764
N 0.81210 3.86592 0.05006
O -0.25985 1.91413 -0.16843
H 3.42831 2.45828 1.89657
H 4.20426 2.27403 0.40159
H 1.69678 1.25569 1.39364
H 1.72815 0.22137 -0.90509
H 3.40643 0.24668 -0.48476
H 2.95757 1.45387 -1.48287
H -0.05042 4.47558 -0.08084
H 1.70988 4.32165 -0.04200
H -2.19991 -0.93022 -1.82622
H -2.70093 -1.18925 -0.35925
O -2.81490 -1.48158 -1.29666
H 1.35585 -2.37791 2.40560
H 1.85402 -2.50129 3.94836
O 1.11953 -2.60441 3.32662
H -0.04288 -3.23252 -4.19213
H -0.02177 -1.83329 -3.69866
O -0.07186 -2.40793 -4.51388
H 0.30666 -2.58844 -0.96239
H -0.23885 -1.17406 -0.68973
O 0.48448 -1.60652 -1.05077
H -1.71236 -0.69143 -3.81127
H -2.24889 0.74364 -3.51012
O -1.82771 -0.03015 -3.19942
H -0.90596 -2.68856 4.34251
H 0.05490 -1.58381 4.57438
O -0.86297 -1.74756 4.70233
H -1.06454 0.44008 0.31815
H -0.74871 -0.42962 1.57631
O -1.25473 -0.40501 0.72786
H -0.44893 0.47259 3.82572
H 0.45169 -0.78380 3.34462
O 0.29828 0.14989 3.17583
H -2.88139 1.58657 -2.06898
H -1.43068 2.06810 -1.86823
O -2.32305 2.34347 -2.08384
H -1.90680 -2.94089 -1.59023
H -1.30491 -4.01267 -0.54628
O -1.19583 -3.51303 -1.40661
H 1.74978 -2.12141 0.03711
H 2.57256 -1.28408 0.86898
O 2.11419 -2.06818 0.94881
H -2.92999 2.91722 -0.56620
H -4.12702 3.87147 -0.27546
O -3.42745 3.33562 0.14837
```

Computed properties:
gap between HOMO and LUMO	10.1	eV
E_HOMO	-9.9	eV
relative energy (zero: lowest compared OMol25 entry of this formula, charge and spin)	3.148	eV
LUMO energy	0.0075	Ha


Computed, not measured: a 5-piece molecular cluster, C43H91ClN9O8P2 overall at a distorted geometry, with the ωB97M-V functional and the def2-TZVPD basis.

Structure (XYZ):
```
154
C43H91ClN9O8P2 (the ωB97M-V functional and the def2-TZVPD basis)
N 0.05120 -6.60312 3.37882
P -1.24736 -5.76603 3.47963
N -1.54712 -4.74052 2.10355
C -0.25990 -4.25927 1.48040
C 0.25924 -2.99697 2.16456
C -0.33909 -1.69284 1.59533
C -1.14531 -0.82271 2.52801
O -2.09555 -0.22363 2.13755
O -0.70325 -0.70186 3.82000
C -2.49303 -5.24441 1.20998
N -2.07539 -6.20866 0.39928
Cl -2.96013 -6.80748 -0.89274
N -3.73047 -4.72168 1.09341
C -4.89831 -5.62020 1.40337
C -5.30300 -5.77063 2.86793
O -6.34280 -4.86717 3.15489
P -3.69221 -2.94448 1.49393
N -5.30962 -2.65675 1.09741
O -3.80020 -2.88134 3.13081
H -0.12193 -7.60239 3.42951
H -1.25310 -4.80764 4.49533
H -2.44833 -6.47940 3.59019
H -0.46950 -4.03075 0.42942
H 0.49441 -5.05116 1.49151
H 1.34049 -2.99358 1.99420
H 0.13261 -3.06203 3.24969
H 0.47745 -1.07760 1.20451
H -1.01952 -1.90868 0.76847
H -1.09920 -1.38625 4.37559
H -1.14874 -6.60906 0.50848
H -5.76831 -5.24318 0.86135
H -4.68124 -6.60472 0.98132
H -4.44937 -5.66052 3.55082

The study explains how armed conflicts, in addition to direct violence, generate a large number of indirect damages. In the months and years following the end of conflicts there are many indirect deaths from diseases and other problems. Moreover, given the magnitude of the aggressions suffered by Gaza, the death rate is expected to be "very high", although the Zionist attacks are now over. The Lancet study points to many factors. The health system has been destroyed, food, water and shelter have become virtually impossible, as the inhabitants of Gaza cannot access safe places because they do not exist and UNRWA, one of the few humanitarian organizations that remain active in the Gaza Strip, has lost much of its funding.

In the conflicts of recent years, according to the study, indirect deaths have been much more numerous than direct deaths. At least three times more, and fifteen times more than direct deaths, in the most serious cases. In investigating the genocide in Gaza, researchers have used a "conservative, conservative estimate", which has quantified the number of indirect deaths to be recorded in the country by four. The investigation has resulted in 37,396 deaths, of which 38,153, according to the latest data, and it has been concluded that the genocide in the Gaza Strip could exceed 186,000. You can also predict more, as has been said, if you make harder estimates. There is a risk of serious epidemics in Gaza, as Israel has destroyed its capacity to deal with health problems.

These records of molecules were left in the entry by mistake
........
(1)
The following is a quantum chemistry calculation of an isolated ion of composition CH6N3S and charge +1 at a distorted geometry, from the Open Molecules 2025 dataset.

## Properties
E_LUMO = -0.2210 Eh
energy = -603.858001 Eh
net charge = +1
SMILES = NC(N)=[NH+]S
Kohn-Sham gap = 9.08 eV
energy relative to the best compared isomer or geometry (same formula, charge and spin) = 107.02 kJ/mol
E_HOMO = -15.1 eV

Geometry (Å):
C -0.02 -0.17 0.18
N -1.32 -0.40 0.14
N 0.75 -1.38 0.13
N 0.49 1.01 0.12
S -0.29 2.98 0.05
H 1.75 -1.19 0.41
H -1.68 -1.43 0.26
H -1.98 0.35 0.09
H -0.70 2.75 -1.13
H 0.46 -2.31 0.60
H 1.51 1.16 -0.07


(2)
The following is a quantum chemistry calculation of a 2-piece molecular cluster, C17H15F4NO2 overall at a distorted geometry, from the Open Molecules 2025 dataset.

## Properties
E_LUMO = -0.1045 Eh
energy = -1261.417153 Eh
SMILES = O=C1C(F)=C(F)C(=O)C(F)=C1F.c1ccc(C[C@H]2CCCN2)cc1
Kohn-Sham gap = 5.73 eV
energy relative to the best compared isomer or geometry (same formula, charge and spin) = 0.00 kJ/mol
E_HOMO = -8.6 eV

Geometry (Å):
F -0.22 4.29 2.74
C 0.94 3.61 2.62
C 0.94 2.26 2.45
F -0.22 1.56 2.43
C 2.16 1.47 2.53
O 2.14 0.24 2.47
C 3.39 2.24 2.72
F 4.53 1.54 2.88
C 3.39 3.59 2.81
F 4.54 4.29 2.94
C 2.16 4.39 2.76
O 2.16 5.62 2.87
C -1.40 -5.18 -1.42
C -2.57 -4.46 -1.13
C -2.48 -3.16 -0.62
C -1.24 -2.57 -0.40
C -1.16 -1.14 0.14
C -1.22 -0.12 -1.00
C -1.14 1.40 -0.66
C -0.37 2.03 -1.84
C 0.05 0.86 -2.73
N -0.13 -0.32 -1.90
C -0.07 -3.28 -0.71
C -0.15 -4.58 -1.22
H -1.47 -6.19 -1.82
H -3.54 -4.92 -1.28
H -3.39 -2.59 -0.40
H -1.98 -0.96 0.85
H -0.20 -0.99 0.67
H -2.18 -0.28 -1.55
H -2.12 1.85 -0.48
H -0.55 1.52 0.27
H -0.98 2.76 -2.38
H 0.50 2.56 -1.47
H -0.61 0.78 -3.61
H 1.08 0.98 -3.08
H -0.24 -1.17 -2.45
H 0.90 -2.80 -0.55
H 0.76 -5.12 -1.46


(3)
The following is a quantum chemistry calculation of C35H48N4OPPtS2Se as an isolated structure at a distorted geometry, from the Open Molecules 2025 dataset.

## Properties
E_LUMO (spin up / spin down) = -0.0644 / -0.1132 Eh
spin multiplicity = 3
energy = -5314.965481 Eh
net charge = +1
Kohn-Sham gap (spin up / spin down) = 6.62 / 7.06 eV
energy relative to the best compared isomer or geometry (same formula, charge and spin) = 166.16 kJ/mol
E_HOMO (spin up / spin down) = -8.4 / -10.1 eV

Geometry (Å):
Pt -0.40 -0.20 1.35
C -1.60 2.63 -3.60
C -0.90 1.64 -4.48
C -0.77 1.95 -5.84
C -0.18 1.09 -6.74
C 0.31 -0.13 -6.30
C 0.20 -0.45 -4.96
C -0.39 0.42 -4.04
P -0.28 -0.22 -2.31
C 0.06 1.29 -1.31
C -0.71 1.55 -0.15
C -0.33 2.62 0.70
C 0.78 3.38 0.41
C 1.52 3.12 -0.73
C 1.19 2.06 -1.58
C 2.04 1.83 -2.79
C -2.02 -0.57 -1.88
C -3.07 -0.26 -2.74
C -4.39 -0.49 -2.38
C -4.67 -1.07 -1.15
C -3.64 -1.48 -0.33
C -2.30 -1.27 -0.68
C -1.25 -1.78 0.16
H -1.44 3.64 -3.97
H -1.26 2.57 -2.57
H -2.68 2.44 -3.61
H -1.16 2.90 -6.18
H -0.09 1.37 -7.77
H 0.77 -0.82 -6.99
H 0.60 -1.39 -4.60
H -1.75 1.24 -0.15
H -0.94 2.87 1.55
H 1.06 4.21 1.05
H 2.36 3.76 -0.99
H 3.05 2.20 -2.64
H 1.61 2.35 -3.65
........

The death toll of 38,000 remains short, according to the investigation, because the Gaza Ministry of Health does not include all unidentified corpses and significantly complicates the follow-up of those who died. However, they recalled that the data have been validated by the UN, the World Health Organization (WHO) and the Israeli intelligence services. On the other hand, thousands of Palestinians have been trapped under the rubble of collapsed buildings, which have not been counted by the authorities. As for the estimates, it is estimated that there are more than 10,000 deaths that have not been located.

# C13H27N3P2PtS2

A structure of composition C13H27N3P2PtS2 at a distorted geometry (ωB97M-V/def2-TZVPD, OMol25).

Output
Frontier orbital gap (eV): 8.55
Total charge: +2
Relative energy (zero: lowest compared OMol25 entry of this formula, charge and spin) (kcal per mole): 18.0
Highest occupied orbital energy (eV): -14.69

Cartesian coordinates (Å):
Pt 0.283 0.248 -0.788
N 2.622 0.138 -1.571
N 3.144 1.380 -1.934
C 2.362 2.460 -2.116
N 2.970 3.581 -2.491
S 0.677 2.453 -1.897
H 3.168 -0.256 -0.812
H 2.664 -0.506 -2.357
H 4.128 1.431 -2.162
H 3.961 3.638 -2.665
H 2.419 4.411 -2.645
C -0.686 -3.023 0.025
P -1.060 -1.270 0.301
C -2.859 -1.150 0.132
C -0.767 -1.013 2.064
C -1.042 -2.005 3.001
C -0.777 -1.787 4.346
C -0.270 -0.564 4.762
C -0.024 0.436 3.833
C -0.255 0.205 2.478
P 0.176 1.436 1.222
C 1.608 2.335 1.851
C -1.178 2.635 1.262
H -1.415 -3.665 0.517
H 0.310 -3.240 0.410
H -0.705 -3.233 -1.043
H -3.323 -1.881 0.796
H -3.161 -1.354 -0.893
H -3.197 -0.152 0.405
H -1.446 -2.960 2.690
H -0.968 -2.572 5.064
H -0.053 -0.391 5.808
H 0.348 1.395 4.170
H 1.920 3.057 1.096
H 2.429 1.645 2.045
H 1.354 2.870 2.765
H -1.209 3.095 2.251
H -2.123 2.132 1.066
H -1.020 3.399 0.501
C 0.160 -2.250 -3.542
S -0.361 -0.546 -3.220
C -2.143 -0.688 -3.438
H -0.615 -2.948 -3.235
H 1.069 -2.448 -2.979
H 0.357 -2.361 -4.606
H -2.343 -0.905 -4.485
H -2.584 0.269 -3.172
H -2.543 -1.481 -2.811

---

# C5H14

A cluster of 2 separate species, C5H14 in total at a distorted geometry (ωB97M-V/def2-TZVPD, OMol25).

Output
Frontier orbital gap (eV): 11.97
Relative energy (zero: lowest compared OMol25 entry of this formula, charge and spin) (kcal per mole): 46.1
Highest occupied orbital energy (eV): -10.84

Cartesian coordinates (Å):
C 0.172 -1.899 -2.682
C -0.622 -0.940 -1.710
C 0.193 0.258 -1.270
H -0.406 -2.676 -3.196
H 0.641 -1.237 -3.365
H 0.872 -2.437 -2.019
H -1.590 -0.716 -2.299
H -1.012 -1.493 -0.754
H 1.311 -0.025 -1.330
H -0.043 1.063 -2.032
H -0.282 0.648 -0.371
C 0.754 0.917 2.378
C -0.755 1.432 2.844
H 1.354 1.243 1.350
H 1.521 1.288 3.195
H 1.008 -0.050 2.529
H -0.548 2.127 3.625
H -1.274 1.900 2.017
H -1.295 0.598 3.090

---

# C13H37N5O4

A cluster of 4 separate species, C13H37N5O4 in total at a distorted geometry (ωB97M-V/def2-TZVPD, OMol25).

Output
Frontier orbital gap (eV): 8.96
Relative energy (zero: lowest compared OMol25 entry of this formula, charge and spin) (kcal per mole): 61.7
Highest occupied orbital energy (eV): -8.32

Cartesian coordinates (Å):
C -3.593 -0.809 1.378
O -3.244 -0.929 2.745
C -1.870 -0.669 3.169
C -1.411 0.743 2.806
C 0.085 0.822 2.898
N -1.856 1.744 3.669
H -2.932 -1.399 0.744
H -3.341 0.207 1.074
H -4.651 -0.767 1.120
H -1.625 -0.800 4.222
H -1.171 -1.393 2.749
H -1.573 0.981 1.755
H 0.544 0.506 3.835
H 0.457 1.825 2.690
H 0.494 0.214 2.092
H -1.531 1.629 4.619
H -2.824 1.485 3.799
C 3.877 0.373 -0.900
O 3.587 1.683 -0.961
C 2.825 2.191 0.118
C 2.485 3.587 -0.321
C 1.425 4.141 0.716
N 1.687 3.586 -1.584
H 3.118 -0.391 -0.730

Most of the buildings in Gaza have been destroyed by the Zionist army, between 70 and 85 per cent, according to various sources. Researchers in the scientific journal The Lancet say that it is essential to end the attacks and take drastic measures so that medicines, food, clean water and other basic resources can be distributed.